The internet was meant to make the world a less centralised place, but the opposite has happened. Ludwig Siegele explains why it matters, and what can be done about it.
Has the internet failed? Sitting in his office at Christ Church, an Oxford college, Sir Tim Berners-Lee, the inventor of the world wide web, has his answer ready: “I wouldn’t say the internet has failed with a capital F, but it has failed to deliver the positive, constructive society many of us had hoped for.”
Two decades ago, he would have scoffed at the idea that the internet and the web would do anything but make this planet a better place. In his autobiography written in the late 1990s, “Weaving the Web”, he concluded: “The experience of seeing the web take off by the grassroots effort of thousands gives me tremendous hope that…we can collectively make our world what we want.”
Until a few years ago most users, asked what they thought of the internet, would have rattled off a list of the things they love about it — that it lets them stay in touch with friends, provides instant access to a huge range of information, sparks innovation, even helps undermine authoritarian regimes. And in some ways it has been a tremendous success. Just under a quarter of a century after the first web browser was released, around half the world’s population is online. But like Sir Tim, many people have recently become more critical of it, concerned that it creates online addicts, hoovers up everybody’s data and empowers malicious trolls and hackers.
At the heart of their disenchantment, this special report will argue, is that the internet has become much more “centralised” (in the tech crowd’s terminology) than it was even ten years ago. Both in the West and in China, the activities this global network of networks makes possible are dominated by a few giants, from Facebook to Tencent. In his latest book, “The Square and the Tower”, Niall Ferguson, a historian, explains that this pattern — a disruptive new network being infiltrated by a new hierarchy — has many historical precedents. Examples range from the invention of the printing press to the Industrial Revolution.
At the same time the internet has become much more strictly controlled. When access to it was still mainly via desktop or laptop computers, users could stumble across amazing new services and try many things for themselves. These days the main way of getting online is via smartphones and tablets that confine users to carefully circumscribed spaces, or “walled gardens”, which are hardly more exciting than television channels. Makers of mobile operating systems can decide through their app stores which services smartphone owners have access to. Another control point is cloud computing, which by its nature puts outsiders in charge of applications and their associated data. Meanwhile governments, which long played no part in the internet, have established power over large parts of the network, often using big internet firms as willing enforcers, for instance by getting them to block unwelcome content.
This is more or less the opposite of what the early cyber-gurus had intended. When the first message was sent over the internet nearly half a century ago, on October 29th 1969, the system was “biased in favour of decentralisation of power and freedom to act”, according to Yochai Benkler of Harvard University. Its technological roots played a large part in that. A child of the cold war, the internet was meant to connect disparate networks and computers so they could still communicate even if central links became unavailable, say in the event of a nuclear attack. “We wanted anything connected to the net to connect to anything else connected to the net,” explains Vint Cerf, one of the engineers who developed the communication protocols (he now works for Google).
To make this possible, Mr Cerf and his colleagues had to make the internet “permissionless”, in today’s lingo. Any network and any computer can join in as long as it follows the protocols. Packets of data are handed from one network to another, regardless of content. This loosely coupled architecture later inspired Sir Tim, who devised the protocols for the world wide web that work on top of the internet proper.
Those protocols were complemented by a set of organisations that allowed the rules to evolve, along with the software that puts them into effect, and keep both from being captured by outside interests. Chief among them has been the Internet Engineering Task Force, whose philosophy was perfectly summed up by David Clark, one of its founders: “We reject: kings, presidents and voting. We believe in: rough consensus and running code.”
The combination of open technical rules and flexible governance set off a frenzy of creativity and innovation. Starting in the mid-1990s, millions of websites were set up and tens of thousands of startups launched. Even after the dotcom bubble collapsed in the early 2000s, this decentralised activity continued unabated, for instance in the form of blogs. Users actually did what Sir Tim had hoped they would: publish online and link to each other, creating a great virtual conversation.
Today the internet is a very different beast. The connections to transfer information still exist, as do the protocols, but the extensions the internet has spawned now greatly outweigh the original network: billions of smartphones and other devices, and cloud-computing factories the size of football fields, containing unimaginable quantities of data. The best way to picture all this is as a vast collection of data silos with big pipes between them, connected to all kinds of devices which both deliver services and collect more data.
The centralisation of the internet and the growing importance of data has given rise to what Frank Pasquale of the University of Maryland, in a recent paper published in American Affairs, calls a “Jeffersonian/Hamiltonian divide” among critics of big tech. One group stands in the tradition of Thomas Jefferson, one of America’s founding fathers, who favoured smaller government and less concentration in business. Its members want to rein in the tech titans through tougher antitrust policies, including break-ups. The other group follows the thinking of Alexander Hamilton, another founding father, who supported strong central institutions, both in politics and in the economy. Its adherents argue that to reap the benefits of artificial intelligence (AI) and distribute them fairly, online giants should be treated as utilities.
Jefferson v Hamilton
This framing also helps to understand the reactions to centralisation more generally. The Jeffersonian side worries that a centralised internet offers less scope for innovation. Although the online giants themselves are a source of much invention, they dampen it elsewhere, so that fewer new ideas are being tried. Venture capitalists now talk about “kill zones”, areas they will not invest in because one of the big players may squeeze the life out of startups or buy them up at a low price.
The political consequences of the internet’s growing centralisation are even more troublesome, if less obvious. Walled gardens often limit free speech, as Facebook’s sometimes ham-fisted attempts to police its social network have shown. Having to hack the algorithms of only a few platforms makes it easier for Russian trolls and their Western counterparts to meddle in elections by spreading misinformation. The concentration of reams of personal data in one place makes serious leaks more likely. One example is the recent scandal at Cambridge Analytica, a political consultancy that acquired data on 87m Facebook users in underhand ways (and as a result went out of business). Dominant platforms are also handy for spooks, as shown by the revelations in 2013 by Edward Snowden, a former CIA employee who leaked vast amounts of classified information. Intelligence services had to tap into only a couple of computing clouds to find what they wanted. And online giants have plenty of cash to influence offline politics.
Yet among Jeffersonians a sense of a new beginning is also in the air. The buzz at technology conferences today is reminiscent of 1995, shortly after the birth of the world wide web, when a new piece of software called a browser took the web mainstream, and the internet with it. At today’s events startups are pushing ambitious plans, often based on blockchain technology (immutable distributed ledgers of the sort that underlie Bitcoin and other crypto-currencies), promising to “re-decentralise” the online world.
Hamiltonians, on the other hand, argue that without the free services and easy-to-use interfaces offered by companies such as Google and Facebook, far fewer people would be using the internet. Without cloud computing, which lets firms crunch vast quantities of data, AI would be nowhere. Having a few powerful firms in control also helps curb the demons of decentralisation, such as cybercrime and hate speech. This kind of thinking, long used by online giants to make the case against regulation, has gained some traction on the left in the West. But it is mostly thriving in China, where the government wants tech titans to help it in its quest to turn the country into a cyber-superpower.
Tacking between the two sides is a growing group of academics who are trying to devise new ways to rein in big tech through regulation. Some of their proposals are more Jeffersonian, such as forcing firms to unwind recent mergers. Others are more Hamiltonian, including making companies share some of their data.
**Misplaced materials data:**
-- begin --
Computed X-ray diffraction stick pattern of Na2MnCo2O4 for Cu Ka, from a DFT-relaxed cell (GGA+U, Alexandria).
Peak positions follow from Bragg's law for the DFT cell and can differ from measured ones.

Atomic structure:
a = 5.756 Å, b = 5.756 Å, c = 8.155 Å
α = 124.17°, β = 124.17°, γ = 33.22°
Atoms (fractional coordinates):
Na 0.185 0.185 0.305
Na 0.815 0.815 0.695
Mn 0.000 0.000 0.500
Co 0.365 0.365 0.136
Co 0.635 0.635 0.864
O 0.229 0.229 0.830
O 0.435 0.435 0.620
O 0.565 0.565 0.380
O 0.771 0.771 0.170

Largest 10 diffraction maxima, in order of rising 2θ, 15° ≤ 2θ ≤ 90°:
2theta  d (Å)  Rel. int.
16.17  5.482  100
22.19  4.007  13
34.46  2.603  42
37.91  2.373  55
42.51  2.127  31
43.64  2.074  18
52.48  1.744  13
55.88  1.645  14
57.72  1.597  13
72.63  1.302  19

----------

1.
# BaSrEuNbO6
Calculated powder diffraction line list, Cu Ka. Input: DFT lattice parameters and positions (GGA-PBE).
Neutral-atom scattering factors, no anomalous dispersion.

Peak list (10 most intense, 2θ = 10–90°, in order of rising 2θ)
- 2θ 29.62, rel. 100
- 2θ 42.37, rel. 19
- 2θ 42.43, rel. 9
- 2θ 52.57, rel. 43
- 2θ 61.50, rel. 17
- 2θ 69.63, rel. 6
- 2θ 69.78, rel. 12
- 2θ 77.54, rel. 5
- 2θ 85.09, rel. 15
- 2θ 85.18, rel. 8

a = 8.522 Å, b = 8.524 Å, c = 8.541 Å
α = 90.00°, β = 90.00°, γ = 90.00°
Element x y z (fractional)
Ba 0.000 0.000 0.000
Ba 0.000 0.000 0.500
Ba 0.500 0.000 0.000
Ba 0.500 0.500 0.500
Sr 0.000 0.500 0.000
Sr 0.000 0.500 0.500
Sr 0.500 0.000 0.500
Sr 0.500 0.500 0.000
Eu 0.251 0.253 0.750
Eu 0.251 0.747 0.250
Eu 0.749 0.253 0.250
Eu 0.749 0.747 0.750
Nb 0.250 0.254 0.251
Nb 0.250 0.746 0.749
Nb 0.750 0.254 0.749
Nb 0.750 0.746 0.251
O 0.016 0.224 0.276
O 0.016 0.776 0.724
O 0.215 0.285 0.017
O 0.215 0.483 0.293
O 0.215 0.517 0.707
O 0.215 0.715 0.983
O 0.274 0.018 0.222
O 0.274 0.982 0.778
O 0.291 0.218 0.482
O 0.291 0.782 0.518
O 0.482 0.291 0.213
O 0.482 0.709 0.787
O 0.518 0.291 0.787
O 0.518 0.709 0.213
O 0.709 0.218 0.518
O 0.709 0.782 0.482
O 0.726 0.018 0.778
O 0.726 0.982 0.222
O 0.785 0.285 0.983
O 0.785 0.483 0.707
O 0.785 0.517 0.293
O 0.785 0.715 0.017
O 0.984 0.224 0.724
O 0.984 0.776 0.276

=====

2.
# BaSrEuNbO6
Calculated powder diffraction line list, Cu Ka. Input: DFT lattice parameters and positions (GGA-PBE).
Neutral-atom scattering factors, no anomalous dispersion.

Peak list (10 most intense, 2θ = 10–90°, in order of rising 2θ)
- 2θ 17.89, rel. 4
- 2θ 20.68, rel. 3
- 2θ 29.41, rel. 100
- 2θ 34.64, rel. 4
- 2θ 42.08, rel. 31
- 2θ 52.17, rel. 40
- 2θ 61.03, rel. 19
- 2θ 69.18, rel. 18
- 2θ 76.91, rel. 6
- 2θ 84.40, rel. 21

a = 6.073 Å, b = 6.073 Å, c = 6.073 Å
α = 60.00°, β = 60.00°, γ = 60.00°
Element x y z (fractional)
Ba 0.000 0.000 0.000
Sr 0.500 0.500 0.500
Eu 0.750 0.750 0.750
Nb 0.250 0.250 0.250
O 0.015 0.015 0.485
O 0.015 0.485 0.015
O 0.015 0.485 0.485
O 0.485 0.015 0.015
O 0.485 0.015 0.485
O 0.485 0.485 0.015

=====

3.
# BaSrEuNbO6
-- stop --
**The text goes on:**
This special report will start by chronicling how the internet became centralised, then discuss all three strands in turn. While not hiding its sympathies with the Jeffersionan side, it will conclude that to re-decentralise the internet, ideas from all three camps are needed. There is no central solution.